**What to do:**
Set down the data underneath character by character.

**Given:**
........
Arrangement A

The following is a quantum chemistry calculation of a cluster of 2 separate species, C7H16N in total, from OMol25.

The value obtained for the HOMO-LUMO gap (spin up / spin down) is 6.939 / 8.456 eV. The value obtained for the molar mass is 114.21 g mol⁻¹. The calculation puts the HOMO energy (spin up / spin down) at -13.1665 / -13.8952 eV. The total charge is +1.

Geometry (Å):
C (3.15608, -0.55256, -0.33754)
C (2.36770, -0.69771, 0.63974)
C (-1.02723, -1.78199, -0.13417)
C (-2.41370, 0.27949, 0.24909)
C (0.20025, 0.65218, -1.32761)
C (0.25259, 1.63186, 0.87022)
C (-1.06436, -0.40596, 0.51936)
N (0.03838, 0.43776, 0.08458)
H (4.19487, -0.88123, -0.30077)
H (2.88700, -0.11585, -1.29367)
H (2.01110, -0.97903, 1.59983)
H (-0.01865, -2.18705, -0.12167)
H (-1.67003, -2.45723, 0.41991)
H (-1.39222, -1.75192, -1.15573)
H (-3.21344, -0.35218, 0.61766)
H (-2.56438, 0.43256, -0.81559)
H (-2.47681, 1.23423, 0.76056)
H (1.16842, 1.11829, -1.51810)
H (0.13955, -0.28843, -1.86693)
H (-0.55712, 1.33546, -1.72030)
H (1.25320, 2.02296, 0.69056)
H (-0.46218, 2.41828, 0.60645)
H (0.14292, 1.41260, 1.93082)
H (-0.95194, -0.52451, 1.60329)

Arrangement B

The following is a quantum chemistry calculation of a cluster of 2 separate species, C7H16N in total, from OMol25.

The value obtained for the HOMO-LUMO gap is 5.846 eV. The value obtained for the molar mass is 114.21 g mol⁻¹. The calculation puts the HOMO energy at -12.4200 eV. The total charge is +1.

Geometry (Å):
C (1.05756, -1.74585, -2.98276)
C (1.03595, -0.28841, -2.34717)
C (0.73726, -0.48209, -0.88932)
C (0.72148, 0.46885, 1.37269)
C (0.78055, 0.58685, -0.02467)
C (0.57485, 1.96038, -0.43554)
C (0.85043, 1.61454, 2.35909)
N (-3.94959, -1.73193, 2.63671)
H (1.58438, -1.68560, -3.97830)
H (1.45034, -2.61431, -2.44954)
H (0.44842, 0.32862, -3.00646)
H (2.08809, 0.12460, -2.43598)
H (0.08286, -1.35856, -0.74251)
H (-4.10986, -2.10186, 3.55016)
H (1.23297, -0.41073, 1.68489)
H (1.35354, 2.48307, 0.12059)
H (-0.39887, 2.22140, 0.05786)
H (0.49877, 2.15896, -1.50768)
H (1.52333, 2.39183, 1.94029)
H (-0.10439, 2.08245, 2.63135)
H (1.30182, 1.29856, 3.27524)
H (-4.30394, -2.47147, 1.97655)
H (-4.50284, -0.84164, 2.47997)
H (0.04688, -1.98768, -3.28546)

Verdict on stability: arrangement A comes out at the bottom.

Arrangement A

The following is a quantum chemistry calculation of a structure of composition C7H16N, from OMol25.

The value obtained for the HOMO-LUMO gap is 6.105 eV. The value obtained for the molar mass is 114.21 g mol⁻¹. The calculation puts the HOMO energy at -12.2691 eV. The total charge is +1.

Geometry (Å):
C (-1.60406, -2.45275, 2.68726)
C (-1.36802, -1.32613, 2.09245)
C (0.32657, -1.15171, 0.31396)
C (0.67153, -0.49517, -1.99364)
C (1.63230, 1.62302, -0.16682)
C (-0.57946, 2.26727, -0.86670)
C (-0.05736, -0.09413, -0.68182)
N (0.23366, 1.24840, -0.24415)
H (-2.36517, -2.49222, 3.45964)
H (-1.11312, -3.38875, 2.47962)
H (-1.79538, -0.35079, 2.23607)
H (-0.54249, -1.24599, 1.20724)
H (0.34522, -2.15384, -0.09596)
H (1.21743, -0.92935, 0.89005)
H (1.73397, -0.64723, -1.82916)
H (0.53941, 0.30425, -2.71681)
H (0.24058, -1.40376, -2.40294)
H (2.24297, 0.79982, 0.18579)
H (2.02031, 1.95328, -1.13549)
H (1.73286, 2.44536, 0.53674)
H (-1.62966, 2.11278, -0.61874)
H (-0.27565, 3.24189, -0.49020)
H (-0.47403, 2.27952, -1.95948)
H (-1.13241, -0.14377, -0.88692)

Arrangement B

The following is a quantum chemistry calculation of a cluster of 2 separate species, C7H16N in total, from OMol25.

The value obtained for the HOMO-LUMO gap is 6.114 eV. The value obtained for the molar mass is 114.21 g mol⁻¹. The calculation puts the HOMO energy at -12.5796 eV. The total charge is +1.

Geometry (Å):
C (2.21740, -1.62930, -1.91495)
C (0.96489, -1.77092, -1.17099)
C (0.69581, -0.55039, -0.38144)
C (-0.50757, 1.48191, 0.14031)
C (-0.35213, 0.35303, -0.64699)
C (-1.19722, 0.21598, -1.88308)
C (-1.25930, 2.76803, -0.08354)
N (-0.55722, -0.61443, 4.95715)
........

**Written answer:**
Arrangement A

The following is a quantum chemistry calculation of a cluster of 2 separate species, C7H16N in total, from OMol25.

The value obtained for the HOMO-LUMO gap (spin up / spin down) is 6.939 / 8.456 eV. The value obtained for the molar mass is 114.21 g mol⁻¹. The calculation puts the HOMO energy (spin up / spin down) at -13.1665 / -13.8952 eV. The total charge is +1.

Geometry (Å):
C (3.15608, -0.55256, -0.33754)
C (2.36770, -0.69771, 0.63974)
C (-1.02723, -1.78199, -0.13417)
C (-2.41370, 0.27949, 0.24909)
C (0.20025, 0.65218, -1.32761)
C (0.25259, 1.63186, 0.87022)
C (-1.06436, -0.40596, 0.51936)
N (0.03838, 0.43776, 0.08458)
H (4.19487, -0.88123, -0.30077)
H (2.88700, -0.11585, -1.29367)
H (2.01110, -0.97903, 1.59983)
H (-0.01865, -2.18705, -0.12167)
H (-1.67003, -2.45723, 0.41991)
H (-1.39222, -1.75192, -1.15573)
H (-3.21344, -0.35218, 0.61766)
H (-2.56438, 0.43256, -0.81559)
H (-2.47681, 1.23423, 0.76056)
H (1.16842, 1.11829, -1.51810)
H (0.13955, -0.28843, -1.86693)
H (-0.55712, 1.33546, -1.72030)
H (1.25320, 2.02296, 0.69056)
H (-0.46218, 2.41828, 0.60645)
H (0.14292, 1.41260, 1.93082)
H (-0.95194, -0.52451, 1.60329)

Arrangement B

The following is a quantum chemistry calculation of a cluster of 2 separate species, C7H16N in total, from OMol25.

The value obtained for the HOMO-LUMO gap is 5.846 eV. The value obtained for the molar mass is 114.21 g mol⁻¹. The calculation puts the HOMO energy at -12.4200 eV. The total charge is +1.

Geometry (Å):
C (1.05756, -1.74585, -2.98276)
C (1.03595, -0.28841, -2.34717)
C (0.73726, -0.48209, -0.88932)
C (0.72148, 0.46885, 1.37269)
C (0.78055, 0.58685, -0.02467)
C (0.57485, 1.96038, -0.43554)
C (0.85043, 1.61454, 2.35909)
N (-3.94959, -1.73193, 2.63671)
H (1.58438, -1.68560, -3.97830)
H (1.45034, -2.61431, -2.44954)
H (0.44842, 0.32862, -3.00646)
H (2.08809, 0.12460, -2.43598)
H (0.08286, -1.35856, -0.74251)
H (-4.10986, -2.10186, 3.55016)
H (1.23297, -0.41073, 1.68489)
H (1.35354, 2.48307, 0.12059)
H (-0.39887, 2.22140, 0.05786)
H (0.49877, 2.15896, -1.50768)
H (1.52333, 2.39183, 1.94029)
H (-0.10439, 2.08245, 2.63135)
H (1.30182, 1.29856, 3.27524)
H (-4.30394, -2.47147, 1.97655)
H (-4.50284, -0.84164, 2.47997)
H (0.04688, -1.98768, -3.28546)

Verdict on stability: arrangement A comes out at the bottom.

Arrangement A

The following is a quantum chemistry calculation of a structure of composition C7H16N, from OMol25.

The value obtained for the HOMO-LUMO gap is 6.105 eV. The value obtained for the molar mass is 114.21 g mol⁻¹. The calculation puts the HOMO energy at -12.2691 eV. The total charge is +1.

Geometry (Å):
C (-1.60406, -2.45275, 2.68726)
C (-1.36802, -1.32613, 2.09245)
C (0.32657, -1.15171, 0.31396)
C (0.67153, -0.49517, -1.99364)
C (1.63230, 1.62302, -0.16682)
C (-0.57946, 2.26727, -0.86670)
C (-0.05736, -0.09413, -0.68182)
N (0.23366, 1.24840, -0.24415)
H (-2.36517, -2.49222, 3.45964)
H (-1.11312, -3.38875, 2.47962)
H (-1.79538, -0.35079, 2.23607)
H (-0.54249, -1.24599, 1.20724)
H (0.34522, -2.15384, -0.09596)
H (1.21743, -0.92935, 0.89005)
H (1.73397, -0.64723, -1.82916)
H (0.53941, 0.30425, -2.71681)
H (0.24058, -1.40376, -2.40294)
H (2.24297, 0.79982, 0.18579)
H (2.02031, 1.95328, -1.13549)
H (1.73286, 2.44536, 0.53674)
H (-1.62966, 2.11278, -0.61874)
H (-0.27565, 3.24189, -0.49020)
H (-0.47403, 2.27952, -1.95948)
H (-1.13241, -0.14377, -0.88692)

Arrangement B

The following is a quantum chemistry calculation of a cluster of 2 separate species, C7H16N in total, from OMol25.

The value obtained for the HOMO-LUMO gap is 6.114 eV. The value obtained for the molar mass is 114.21 g mol⁻¹. The calculation puts the HOMO energy at -12.5796 eV. The total charge is +1.

Geometry (Å):
C (2.21740, -1.62930, -1.91495)
C (0.96489, -1.77092, -1.17099)
C (0.69581, -0.55039, -0.38144)
C (-0.50757, 1.48191, 0.14031)
C (-0.35213, 0.35303, -0.64699)
C (-1.19722, 0.21598, -1.88308)
C (-1.25930, 2.76803, -0.08354)
N (-0.55722, -0.61443, 4.95715)